Jakarta, 24 Maret 2022 –
On Wednesday, March 23, the Plenary G20 Environment Deputies Meeting and Climate Sustainability Working Group (1st EDM-CSWG) in Yogyakarta came to a close. During the last session, all G20 delegates supported the discussion elements, which serves as the elaboration of the G20 EDM-CSWG's three priority agendas.
The outcomes of this meeting are a good indicator in the process of preparing the G20 communiqué on the environment and sustainable climate change at the ministerial level. The outcomes will be addressed further in the next EDM-CSWG meeting, which will take place in June in Jakarta and August in Bali.
As Co-Chair of the G20 Environment Deputies Meeting and Climate Sustainability Working Group (EDM-CSWG), Laksmi Dwanthi, Director General of Climate Change Control (PPI) of the Ministry of Environment and Forestry (KLHK), revealed that the EDM-CSWG delegates hope that the agreed communiqué will be able to invite the global community to implement a global agenda related to handling environmental problems and control.
"The G20 countries also suggest and hope that the communique will be able to send a strong message not only to the G20, but also to the rest of the world, that the G20 forum is serious about environmental and climate change issues, is committed to working together, and leads the implementation existing environmental and climate change agendas," Laksmi said.
Laksmi cited several commitments made by the international community, including the agenda for dealing with marine plastic litter, water management issues, and controlling climate change by reducing greenhouse gas emissions through more ambitious targets, all of which were discussed at the UNFCCC's COP 26 in Glasgow last year.
"Everyone hopes that the process of developing the next communiqué at the second and third EDM-CSWG meetings will go well, and that at the ministerial level, it will be able to generate a strong communiqué document as well as an action plan that can be implemented," Laksmi added.
(Inserted here: crystal structures)
A plane-wave DFT calculation with PBE-GGA was carried out for a relaxed Ti9ZnS16 crystal.

Summary:
- space-group type = Pc, No. 7
- total energy (eV per atom) = -6.6391

Unit cell a=7.037 b=13.920 c=12.054 alpha=90.00 beta=124.86 gamma=90.00
Element x y z (fractional)
Ti 0.000 0.004 0.000
Ti 0.000 0.996 0.500
Ti 0.003 0.238 0.503
Ti 0.003 0.369 0.243
Ti 0.003 0.631 0.743
Ti 0.003 0.762 0.003
Ti 0.009 0.247 0.008
Ti 0.009 0.753 0.508
Ti 0.012 0.487 0.010
Ti 0.012 0.513 0.510
Ti 0.014 0.120 0.753
Ti 0.014 0.880 0.253
Ti 0.474 0.367 0.239
Ti 0.474 0.633 0.739
Ti 0.489 0.120 0.751
Ti 0.489 0.880 0.251
Ti 0.992 0.125 0.241
Ti 0.992 0.875 0.741
Zn 0.623 0.376 0.624
Zn 0.623 0.624 0.124
S 0.225 0.374 0.492
S 0.225 0.626 0.992
S 0.243 0.123 0.998
S 0.243 0.877 0.498
S 0.244 0.373 0.997
S 0.244 0.627 0.497
S 0.246 0.245 0.746
S 0.246 0.755 0.246
S 0.252 0.494 0.250
S 0.252 0.506 0.750
S 0.253 0.122 0.500
S 0.253 0.878 0.000
S 0.257 0.006 0.253
S 0.257 0.994 0.753
S 0.260 0.244 0.257
S 0.260 0.756 0.757
S 0.740 0.124 0.997
S 0.740 0.876 0.497
S 0.750 0.000 0.249
S 0.750 0.000 0.749
S 0.751 0.247 0.249
S 0.751 0.753 0.749
S 0.754 0.239 0.757
S 0.754 0.489 0.257
S 0.754 0.511 0.757
S 0.754 0.761 0.257
S 0.757 0.370 0.001
S 0.757 0.630 0.501
S 0.761 0.375 0.491
S 0.761 0.625 0.991
S 0.762 0.121 0.506
S 0.762 0.879 0.006

~~~~~

(1)
The following is a PBE-GGA calculation of a relaxed TlAgS crystal, from the Materials Project.

Lattice parameters (Å, degrees): 4.466 7.328 8.667 90.00 90.00 90.00
Fractional positions:
1 Ag 0.750 0.083 0.314
2 S 0.750 0.400 0.183
3 Tl 0.750 0.812 0.994
4 S 0.250 0.600 0.817
5 Tl 0.250 0.312 0.506
6 S 0.750 0.100 0.683
7 Tl 0.750 0.688 0.494
8 Ag 0.750 0.417 0.814
9 S 0.250 0.900 0.317
10 Ag 0.250 0.917 0.686
11 Tl 0.250 0.188 0.006
12 Ag 0.250 0.583 0.186

Summary:
* formation energy: -0.352 eV per atom
* spin magnetization: 0.0 μB/f.u.
* E (MP2020): -41.6 eV/cell
* symmetry: Pnma (62)

(2)
The following is a PBE-GGA calculation of a relaxed Na14Y4Mg4Si5S7O48 crystal, from the Materials Project.

Lattice parameters (Å, degrees): 18.585 9.261 22.990 89.98 90.46 119.90
Fractional positions:
1 Na 0.817 0.323 0.833
2 Na 0.183 0.350 0.253
3 Na 0.011 0.368 0.742
4 O 0.740 0.304 0.750
5 O 0.092 0.163 0.083
6 Na 0.003 0.653 0.246
7 Na 0.807 0.992 0.251
8 Y 0.661 0.663 0.515
9 O 0.429 0.326 0.528
10 O 0.762 0.879 0.362
11 O 0.686 0.514 0.081
12 O 0.581 0.678 0.756
13 S 0.511 0.356 0.915
14 O 0.490 0.197 0.308
15 Na 0.343 0.650 0.418
16 O 0.924 0.319 0.244
17 O 0.336 0.145 0.424
18 Na 0.329 0.981 0.591
19 O 0.162 0.500 0.760
20 O 0.010 0.803 0.703
21 O 0.187 0.862 0.581
22 O 0.753 0.352 0.419
23 O 0.853 0.160 0.752
24 O 0.681 0.852 0.578
25 O 0.850 0.542 0.248
26 O 0.905 0.799 0.586
27 O 0.756 0.643 0.575
28 O 0.932 0.514 0.421
29 S 0.322 0.974 0.418
30 O 0.770 0.859 0.755
31 O 0.847 0.146 0.031
32 Mg 0.011 0.015 0.350
33 O 0.513 0.814 0.698
34 Mg 0.323 0.332 0.487
35 O 0.509 0.217 0.203
36 O 0.583 0.988 0.913
37 Y 0.667 0.667 0.817
The communiqué at the ministerial level will eventually be used to help prepare the G20 leaders' declaration at the G20 Summit in November 2022.
In line with this, Sigit Reliantoro, Director General of Pollution and Environmental Damage Control (PPKL) and Co-Chair of the G20 Environment Deputies Meeting and Climate Sustainability Working Group (EDM-CSWG), stated that the G20 delegates and international organizations in attendance gave a positive response to the results of this two-day dialogue.
-- Attached: records of crystals --
~~~
(1)
DFT (PBE-GGA) results for an optimized crystal structure of Li2SmAl.

Lattice parameters (Å, degrees): 4.8118 4.8118 4.8118 60.00 60.00 60.00
Element x y z (fractional)
Li 0.2500 0.2500 0.2500
Li 0.7500 0.7500 0.7500
Sm 0.0000 0.0000 0.0000
Al 0.5000 0.5000 0.5000

Output
Magnetization = 0.000 μB per atom
Formation enthalpy at 0 K = -71 kJ/mol of formula units
Energy = -13.022 eV for the cell shown

(2)
DFT (PBE-GGA) results for an optimized crystal structure of Li2ZrAl.

Lattice parameters (Å, degrees): 4.6476 4.6476 4.6476 60.00 60.00 60.00
Element x y z (fractional)
Li 0.0000 0.0000 0.0000
Li 0.2500 0.2500 0.2500
Zr 0.5000 0.5000 0.5000
Al 0.7500 0.7500 0.7500

Output
Magnetization = 0.003 μB per atom
Formation enthalpy at 0 K = -7 kJ/mol of formula units
Energy = -16.179 eV for the cell shown

(3)
DFT (PBE-GGA) results for an optimized crystal structure of Lu4Al.

Lattice parameters (Å, degrees): 7.7143 7.7143 7.7143 60.00 60.00 60.00
Element x y z (fractional)
Lu 0.1918 0.7694 0.7694
Lu 0.2306 0.2306 0.2306
Lu 0.2306 0.2306 0.8082
Lu 0.2306 0.8082 0.2306
Lu 0.7694 0.1918 0.7694
Lu 0.7694 0.7694 0.1918
Lu 0.7694 0.7694 0.7694
Lu 0.8082 0.2306 0.2306
Al 0.3750 0.3750 0.3750
Al 0.6250 0.6250 0.6250

Output
Magnetization = 0.153 μB per atom
Formation enthalpy at 0 K = 258 kJ/mol of formula units
Energy = -38.319 eV for the cell shown

(4)
DFT (PBE-GGA) results for an optimized crystal structure of Lu3Al.

Lattice parameters (Å, degrees): 6.6520 6.6520 5.2676 90.00 90.00 120.00
Element x y z (fractional)
Lu 0.1719 0.3439 0.2500
Lu 0.1719 0.8281 0.2500
Lu 0.3439 0.1719 0.7500
Lu 0.6561 0.8281 0.2500
Lu 0.8281 0.1719 0.7500
Lu 0.8281 0.6561 0.7500
Al 0.3333 0.6667 0.7500
Al 0.6667 0.3333 0.2500

Output
Formation enthalpy at 0 K = -77 kJ/mol of formula units
Energy = -36.204 eV for the cell shown

(5)
DFT (PBE-GGA) results for an optimized crystal structure of Lu3Al.

Lattice parameters (Å, degrees): 4.6625 4.6625 4.6625 90.00 90.00 90.00
Element x y z (fractional)
Lu 0.0000 0.0000 0.5000
Lu 0.0000 0.5000 0.0000
Lu 0.5000 0.0000 0.0000
Al 0.5000 0.5000 0.5000

Output
Formation enthalpy at 0 K = -75 kJ/mol of formula units
Energy = -18.085 eV for the cell shown

(6)
DFT (PBE-GGA) results for an optimized crystal structure of LuMg16Al12.

Lattice parameters (Å, degrees): 9.2658 9.2658 9.2658 110.43 110.43 110.43
Element x y z (fractional)
Lu 0.0000 0.0000 0.0000
Mg 0.0572 0.0572 0.6547
Mg 0.0572 0.6547 0.0572
Mg 0.0926 0.7629 0.7629
Mg 0.3703 0.6828 0.9780
Mg 0.3703 0.9780 0.6828
Mg 0.3744 0.3744 0.3744
Mg 0.3768 0.3768 0.7168
Mg 0.3768 0.7168 0.3768
Mg 0.6547 0.0572 0.0572
Mg 0.6828 0.3703 0.9780
Mg 0.6828 0.9780 0.3703
Mg 0.7168 0.3768 0.3768
Mg 0.7629 0.0925 0.7629
Mg 0.7629 0.7629 0.0926
Mg 0.9780 0.3703 0.6828
Mg 0.9780 0.6828 0.3703
Al 0.0079 0.1861 0.3677
Al 0.0079 0.3677 0.1861
Al 0.1861 0.0079 0.3677
Al 0.1861 0.3677 0.0079
Al 0.1975 0.5621 0.5621
Al 0.3677 0.0079 0.1861
Al 0.3677 0.1861 0.0079
Al 0.5621 0.1975 0.5621
~~~
"Alhamdulillah, the main and sub-priority issues that we addressed got support from member countries, including invited countries and international organizations," Sigit added.
He went on to say that the EDM dialogue focused on seven priority issues: land degradation, biodiversity loss, marine litter, water, sustainable consumption and resource efficiency, sustainable finance, and marine protection.
== Inserted here: materials data ==
<<<
A relaxed structure of Ba2Cd, computed with PBE-GGA.

Cell and atoms, written as POSCAR:
```
Ba2Cd
1.0
4.316 0.000 0.000
0.000 4.316 0.000
0.000 0.000 15.323
Ba Cd
4 2
Cartesian
0.000 0.000 2.033
0.000 0.000 13.289
2.158 2.158 5.628
2.158 2.158 9.695
0.000 0.000 7.661
2.158 2.158 0.000
```

Output
Crystal system: tetragonal
Formation energy from the elements (meV per atom): -238
Symmetry: I4/mmm (139)

=====

A relaxed structure of Al2CdS4, computed with PBE-GGA.

Cell and atoms, written as POSCAR:
```
Al2CdS4
1.0
5.639 0.000 0.000
0.000 5.639 0.000
0.000 0.000 10.256
Al Cd S
4 2 8
Cartesian
0.000 0.000 0.000
0.000 2.820 2.564
2.820 0.000 7.692
2.820 2.820 5.128
0.000 0.000 5.128
2.820 2.820 0.000
1.238 4.310 1.376
1.330 1.238 8.880
1.490 1.582 3.752
1.582 4.150 6.503
4.058 1.490 6.503
4.150 4.058 3.752
4.310 4.402 8.880
4.402 1.330 1.376
```

Output
Crystal system: tetragonal
Formation energy from the elements (meV per atom): -1255
Maximum piezoelectric response (C/m²): 0.226
Symmetry: I-4 (82)

=====

A relaxed structure of Sr2YTi2O7, computed with PBE-GGA.

Cell and atoms, written as POSCAR:
```
Sr2YTi2O7
1.0
-12.807 2.638 2.752
12.807 -2.638 2.752
12.807 2.638 -2.752
Sr Y Ti O
4 2 4 14
Cartesian
4.715 0.362 0.000
8.092 0.362 0.000
4.715 2.276 2.752
8.092 2.276 2.752
0.000 0.000 0.060
12.807 0.000 0.060
1.998 -0.031 2.814
10.809 -0.031 2.814
1.998 2.669 0.062
10.809 2.669 0.062
11.278 1.317 -1.312
14.200 1.321 -1.315
11.415 -1.317 1.437
14.337 -1.320 1.440
6.404 1.400 -1.351
6.404 1.238 1.401
3.784 -0.101 2.828
9.024 -0.101 2.828
-1.392 1.317 1.437
14.200 1.317 1.437
1.529 1.320 1.440
11.278 1.320 1.440
3.784 2.739 0.076
9.024 2.739 0.076
```

Output
Crystal system: orthorhombic
Formation energy from the elements (meV per atom): -3352
Size of the total moment (μB/f.u.): 0.2
Symmetry: Ima2 (46)

=====

A relaxed structure of KAs, computed with PBE-GGA.

Cell and atoms, written as POSCAR:
```
KAs
1.0
4.753 0.000 0.000
0.000 7.894 0.000
0.000 0.000 8.561
K As
4 4
Cartesian
0.927 1.973 0.000
0.927 1.973 4.280
3.825 5.920 0.000
3.825 5.920 4.280
1.459 4.643 2.140
1.459 7.198 6.420
3.293 0.696 2.140
3.293 3.251 6.420
```

Output
Crystal system: orthorhombic
Polymorph energy (0 for the lowest one) (meV/atom): 848
Formation energy from the elements (meV per atom): 395
Size of the total moment (μB/f.u.): 2.0
Symmetry: Pbcm (57)

=====

A relaxed structure of KZr12I28, computed with PBE-GGA.

Cell and atoms, written as POSCAR:
```
KZr12I28
1.0
53.288 0.000 0.000
0.000 8.289 7.734
0.000 -8.289 7.734
K Zr I
4 48 112
Cartesian
2.071 -4.145 7.734
10.058 4.145 8.789
43.229 -4.145 8.789
51.216 4.145 7.734
1.864 -6.387 9.104
1.864 -1.902 9.104
1.955 -4.145 5.053
4.563 -4.145 9.746
4.671 -5.940 6.879
4.671 -2.349 6.879
7.951 4.145 10.804
8.463 2.405 6.401
8.463 5.884 6.401
11.081 4.145 5.571
12.019 1.640 8.822
12.019 6.650 8.822
15.342 -5.853 8.797
15.342 -2.437 8.797
15.645 -4.145 6.164
17.869 -4.145 9.558
18.274 -6.082 6.848
18.274 -2.207 6.848
>>>
"Six issues have been resolved as a result of obtaining input from G20 EDM member countries. The issue of sustainable consumption and resource efficiency will be discussed at the second meeting later in June," Sigit said.
According to Sigit, the delegates also recommended that the existing framework be continued in the issue of land degradation. The delegates also backed Indonesia's actual initiatives to rehabilitate mangroves and peatlands on a wide scale.
Regarding the issue of biodiversity loss, the delegates supported the implementation of the post-2020 global biodiversity framework. Furthermore, the delegates also supported the efforts to reduce marine litter, with one focus being on how to promote as little plastic waste into the water as possible by incorporating it into a circular economic cycle.
Regarding the water issue, Sigit stated that the delegates were enthusiastic about the idea of focusing this platform not just on water security, but also on environmental improvement approaches, such as nature-based solutions and ecosystem-based approaches.
"These approaches are considered as having huge potential since the investment is not too large, but the advantages can be seen by the local community immediately," Sigit noted.
On the issue of sustainable finance, the delegates called for defined benchmarks and objectives for the process of establishing a sustainable environment, according to Sigit, so that funding needs and formats may be properly identified. As a result, transparent means of reporting and private sector engagement must be promoted and fostered. On the climate change issue, Laksmi said the G20 delegates intend to strengthen the climate change mitigation and adaptation agenda, as agreed at the UNFCCC COP 26 in Glasgow in 2021. The G20 delegates also back the linkages between marine issues (ocean) and climate change, as well as the mobilization of resources (funding, research, technology, and capacity building)